By Gavin Keeney
-- Inserted here: materials data --
# 1
Na2Nb5Al3P12O48 | Materials Project | PBE-GGA | optimized geometry; energy = -7.684 eV/atom; DFT formation energy = -2914.3 meV per atom
1.0
8.6387 0.0000 0.0000
0.0034 14.9580 0.0000
0.0145 0.0186 22.3292
Na Nb Al P O
6 15 9 36 144
Direct
0.0000 0.0000 0.0000
0.0005 0.0007 0.4996
0.0002 0.6636 0.6595
0.4968 0.4971 0.5006
0.4975 0.4974 0.9991
0.4988 0.1656 0.1620
0.0012 0.3311 0.9722
0.4969 0.8320 0.4718
0.4966 0.8328 0.9712
0.4993 0.1688 0.5200
0.4986 0.8357 0.1868
0.4995 0.1660 0.8017
0.5000 0.8283 0.6841
0.5016 0.4994 0.8480
0.5032 0.4954 0.3520
0.9948 0.0020 0.3508
0.9962 0.9980 0.8487
0.9966 0.6626 0.3040
0.9988 0.3285 0.1863
0.9988 0.3362 0.6814
0.9991 0.6648 0.0207
0.0005 0.3323 0.4730
0.0001 0.9981 0.6394
0.4971 0.4996 0.6392
0.4982 0.4957 0.1412
0.4987 0.1659 0.0173
0.5008 0.1673 0.3085
0.9982 0.6649 0.8052
0.9994 0.0015 0.1416
0.9987 0.6625 0.5170
0.1310 0.1866 0.5758
0.1339 0.8590 0.2418
0.1375 0.8043 0.9085
0.1386 0.5256 0.9085
0.1475 0.4786 0.5734
0.1539 0.1376 0.2425
0.2001 0.8316 0.5782
0.2208 0.1636 0.9142
0.2212 0.4988 0.2415
0.2773 0.6639 0.4141
0.2787 0.9983 0.7408
0.2968 0.3317 0.0786
0.3445 0.3039 0.4097
0.3453 0.6383 0.7419
0.3494 0.9815 0.0782
0.3581 0.3595 0.7407
0.3603 0.0265 0.4089
0.3633 0.6837 0.0799
0.6322 0.3520 0.2421
0.6372 0.3053 0.9146
0.6375 0.6372 0.2411
0.6390 0.0272 0.9145
0.6484 0.6824 0.5774
0.6525 0.9753 0.5793
0.7142 0.0069 0.2423
0.7145 0.3397 0.5755
0.7202 0.6660 0.9088
0.7826 0.1735 0.4104
0.7861 0.5049 0.7411
0.7896 0.8385 0.0793
0.8442 0.4737 0.0797
0.8492 0.1829 0.0781
0.8606 0.1398 0.7402
0.8611 0.8048 0.4147
0.8654 0.5196 0.4165
0.8646 0.8519 0.7414
0.0626 0.2317 0.5215
0.0642 0.9015 0.1871
0.0650 0.0928 0.5862
0.0671 0.7645 0.2527
0.0671 0.7656 0.9666
0.0683 0.4318 0.9198
0.0685 0.5682 0.8538
0.0692 0.5706 0.5692
0.0692 0.9005 0.9042
0.0710 0.4338 0.6322
0.0722 0.0981 0.2994
0.0733 0.2311 0.2350
0.1042 0.7474 0.5697
0.1051 0.9168 0.5864
0.1095 0.7487 0.8536
0.1112 0.0819 0.9056
0.1112 0.2456 0.6331
0.1132 0.4170 0.2344
0.1129 0.9144 0.2996
0.1137 0.2465 0.9206
0.1139 0.5806 0.2521
0.1145 0.5813 0.9664
0.1157 0.4165 0.5212
0.1181 0.0812 0.1878
0.1730 0.6512 0.7527
0.1743 0.9868 0.0860
0.1760 0.3178 0.4219
0.1776 0.0146 0.6874
0.1787 0.6494 0.4687
0.1818 0.0118 0.4035
0.1829 0.3459 0.7360
0.1833 0.9840 0.7995
0.1843 0.6792 0.3559
0.1856 0.6775 0.0694
0.1877 0.3167 0.1331
0.1879 0.3473 0.0228
0.3102 0.8171 0.6332
0.3097 0.8474 0.5230
0.3111 0.1779 0.5685
0.3120 0.8465 0.2349
0.3142 0.1788 0.8560
0.3139 0.8168 0.9193
0.3158 0.4837 0.2994
0.3168 0.5126 0.9043
0.3193 0.1489 0.9687
0.3198 0.5146 0.1870
0.3218 0.4864 0.5860
0.3257 0.1513 0.2526
0.3812 0.0809 0.4667
0.3808 0.5808 0.6881
0.3821 0.9186 0.0228
0.3832 0.2492 0.3545
0.3839 0.0806 0.7526
0.3842 0.4136 0.7996
0.3843 0.7469 0.4206
0.3853 0.7456 0.1339
0.3857 0.9165 0.7353
0.3869 0.5823 0.4054
0.3932 0.2475 0.0695
0.3932 0.4166 0.0860
0.4248 0.5979 0.7997
0.4245 0.7317 0.7356
0.4256 0.3996 0.4031
0.4268 0.9344 0.1328
0.4285 0.0716 0.0694
“Who are these multiple vixens?” Why “The Matrix”?
Records of crystals, as found in the file
┌──
Record 1
Pr3Hg | GGA-PBE | optimized geometry

Results
Its space-group type is No. 139. Its total magnetization is 0.00 μB per formula unit. The total DFT energy (no corrections) is -0.281 Ry per atom. The formation enthalpy at 0 K comes out at -0.63 eV/f.u.

Lattice parameters (Å, degrees): 6.2725 6.2725 6.2725 134.38 134.38 66.49
Closest atoms and distances in Å follow each position.
Sites, in units of the cell vectors:
Hg1 0.0000 0.0000 0.0000  12 Pr 3.44-3.58
Pr1 0.7500 0.2500 0.5000  8 Pr 3.44-3.58, 4 Hg 3.58
Pr2 0.5000 0.5000 0.0000  4 Hg 3.44, 8 Pr 3.58
Pr3 0.2500 0.7500 0.5000  8 Pr 3.44-3.58, 4 Hg 3.58

=====

Record 2
Fe2CuS3 | GGA-PBE | optimized geometry

Results
The excess energy over the best structure of this formula in the dataset is 20.7 kJ/mol of formula units. Its space-group type is No. 156. The total DFT energy (no corrections) is -0.426 Ry per atom. The formation enthalpy at 0 K comes out at -2.81 eV/f.u.

Lattice parameters (Å, degrees): 3.6983 3.6983 9.0592 90.00 90.00 120.00
Closest atoms and distances in Å follow each position.
Sites, in units of the cell vectors:
Cu1 0.3333 0.6667 0.9195  4 S 2.26-2.30
S1 0.0000 0.0000 0.0021  1 Fe 2.21, 3 Cu 2.26
S2 0.6667 0.3333 0.3336  4 Fe 2.26-2.28
S3 0.3333 0.6667 0.6656  3 Fe 2.26, 1 Cu 2.30
Fe1 0.6667 0.3333 0.5833  4 S 2.26
Fe2 0.0000 0.0000 0.2459  4 S 2.21-2.28

=====

Record 3
TiH | GGA-PBE | optimized geometry

Results
Its space-group type is No. 194. Its total magnetization is 0.00 μB per formula unit. The total DFT energy (no corrections) is -0.425 Ry per atom. The formation enthalpy at 0 K comes out at -0.45 eV/f.u.

Lattice parameters (Å, degrees): 2.8776 2.8776 5.2633 90.00 90.00 120.00
Closest atoms and distances in Å follow each position.
Sites, in units of the cell vectors:
H1 0.3333 0.6667 0.2500  6 Ti 2.12
H2 0.6667 0.3333 0.7500  6 Ti 2.12
Ti1 0.0000 0.0000 0.0000  6 H 2.12
Ti2 0.0000 0.0000 0.5000  6 H 2.12

=====

Record 4
Na2AlZnPS2O12 | GGA-PBE | optimized geometry

Results
Its space-group type is No. 9. Its total magnetization is 0.00 μB per formula unit. The total DFT energy (no corrections) is -0.451 Ry per atom. The formation enthalpy at 0 K comes out at -44.04 eV/f.u.

Lattice parameters (Å, degrees): 8.6554 8.6736 21.8825 90.17 90.00 119.93
Closest atoms and distances in Å follow each position.
Sites, in units of the cell vectors:
O1 0.9695 0.1601 0.5880  1 S 1.52
O2 0.4699 0.3578 0.1400  1 S 1.46
O3 0.8584 0.4907 0.4222  1 S 1.49
O4 0.8373 0.2944 0.5296  1 S 1.51
O5 0.3450 0.4836 0.0747  1 S 1.46
O6 0.4811 0.1557 0.2445  1 P 1.52
O7 0.8476 0.8176 0.5896  1 P 1.59
O8 0.0393 0.8243 0.6953  1 S 1.50
O9 0.8300 0.5262 0.0301  1 P 1.56
O10 0.1324 0.4932 0.8612  1 S 1.49
O11 0.1879 0.0375 0.5903  1 S 1.49
O12 0.6398 0.1187 0.1357  1 S 1.47
O13 0.8879 0.3578 0.6400  1 S 1.46
O14 0.3148 0.8739 0.9808  1 P 1.53
O15 0.8054 0.0186 0.8114  1 P 1.53
O16 0.8180 0.9978 0.4112  1 P 1.52
O17 0.4571 0.2944 0.0296  1 S 1.51
O18 0.6745 0.1557 0.7445  1 P 1.52
└──
End of the records of crystals
These two questions are sufficient, as rhetorical questions, to enter into the visual field of the very short, yet very potent video.
The lyrical and the dark combine, through the music and the imagery. The imagery shifts. There is the repetitive and iterative element of the “stamping technique” and there is over-painting. The overpainting is also, most likely, the mark of additional stamping. It accentuates but alters features. Mostly the human face is restamped to double or disfigure some telltale aspect.
The multiple vixens. They are all young and fashionable women, of course. Their subjective state falls somewhere between elegant and narcissistic. What is their fate in the time of pandemic?
The Matrix. There is the sense of the immensity of something else that cannot be contained in the short film. It is intentional only because it would destroy the fragility of the “danse macabre.” This slippery slope – the dance – suggests the nature of the hidden forces operative nonetheless in the film as a type of memento mori. Remember to die …
Are we all being told today that we are disposable? Rarely. It is, instead, in the air. Unspoken. Feared. It is the dark mark of living in the time of the Anthropocene plus Pandemic, a very bizarre mathesis that may soon include mass migration and mass starvation. This presentiment feeds the hysteria of the moment, and it feeds the sense of some dark conspiracy at play, real or imagined. The Matrix. The Simulation. The Coming Police State. The End Times.
All of this falls across the gemlike video like a shadow. The facets noted reflect the mood. Eyes glare. Faces melt.
The metaphor of “a war” appears and disappears. The young ladies and the garish foliage dance.
Unrelated to this entry: records of crystals:
~~~
Record 1
# PBE with a Hubbard U NdEuMnFeO6, relaxed
data_NdEuMnFeO6
_space_group_name_H-M_alt 'F -4 3 m'
_space_group_IT_number 216
_space_group_name_Hall 'F -4 2 3'
_cell_length_a 8.020
_cell_length_b 8.020
_cell_length_c 8.020
_cell_angle_alpha 90.00
_cell_angle_beta 90.00
_cell_angle_gamma 90.00
loop_
_atom_site_label
_atom_site_fract_x
_atom_site_fract_y
_atom_site_fract_z
Nd1 0.000 0.000 0.000
Eu1 0.000 0.000 0.500
Mn1 0.250 0.250 0.250
Fe1 0.250 0.250 0.750
O1 0.001 0.250 0.250
# VASP energy	-80.20	eV/f.u.
# DFT formation energy	-2590	meV/atom


Record 2
# PBE with a Hubbard U NaEuFe4O12, relaxed
data_NaEuFe4O12
_space_group_name_H-M_alt 'A m m 2'
_space_group_IT_number 38
_space_group_name_Hall 'A 2 -2'
_cell_length_a 9.766
_cell_length_b 9.572
_cell_length_c 10.134
_cell_angle_alpha 90.00
_cell_angle_beta 90.00
_cell_angle_gamma 90.00
loop_
_atom_site_label
_atom_site_fract_x
_atom_site_fract_y
_atom_site_fract_z
Na1 0.000 0.000 0.000
Eu1 0.500 0.000 0.480
Fe1 0.233 0.216 0.761
O1 0.000 0.181 0.247
O2 0.203 0.000 0.793
O3 0.240 0.199 0.495
O4 0.327 0.000 0.173
O5 0.500 0.195 0.764
# VASP energy	-74.20	eV/f.u.
# DFT formation energy	743	meV/atom


Record 3
# PBE with a Hubbard U PrEuNbFeO6, relaxed
data_PrEuNbFeO6
_space_group_name_H-M_alt 'F -4 3 m'
_space_group_IT_number 216
_space_group_name_Hall 'F -4 2 3'
_cell_length_a 8.014
_cell_length_b 8.014
_cell_length_c 8.014
_cell_angle_alpha 90.00
_cell_angle_beta 90.00
_cell_angle_gamma 90.00
loop_
_atom_site_label
_atom_site_fract_x
_atom_site_fract_y
_atom_site_fract_z
Pr1 0.000 0.000 0.000
Eu1 0.000 0.000 0.500
Nb1 0.250 0.250 0.250
Fe1 0.250 0.250 0.750
O1 0.000 0.250 0.250
# VASP energy	-85.54	eV/f.u.
# DFT formation energy	-2862	meV/atom


Record 4
# PBE with a Hubbard U EuNbFeSnO6, relaxed
data_EuNbFeSnO6
_space_group_name_H-M_alt 'F -4 3 m'
_space_group_IT_number 216
_space_group_name_Hall 'F -4 2 3'
_cell_length_a 8.042
_cell_length_b 8.042
_cell_length_c 8.042
_cell_angle_alpha 90.00
_cell_angle_beta 90.00
_cell_angle_gamma 90.00
loop_
_atom_site_label
_atom_site_fract_x
_atom_site_fract_y
_atom_site_fract_z
Eu1 0.000 0.000 0.000
Nb1 0.250 0.250 0.750
Fe1 0.250 0.250 0.250
Sn1 0.000 0.000 0.500
O1 0.000 0.250 0.250
# VASP energy	-80.51	eV/f.u.
# DFT formation energy	-2437	meV/atom


Record 5
# PBE with a Hubbard U Eu3Fe5O12, relaxed
data_Eu3Fe5O12
_space_group_name_H-M_alt 'I a -3 d'
_space_group_IT_number 230
_space_group_name_Hall '-I 4bd 2c 3'
_cell_length_a 12.717
_cell_length_b 12.717
_cell_length_c 12.717
_cell_angle_alpha 90.00
_cell_angle_beta 90.00
_cell_angle_gamma 90.00
loop_
_atom_site_label
_atom_site_fract_x
_atom_site_fract_y
_atom_site_fract_z
Eu1 0.000 0.250 0.125
Fe1 0.000 0.000 0.000
Fe2 0.000 0.250 0.375
O1 0.029 0.054 0.649
# VASP energy	-157.82	eV/f.u.
# DFT formation energy	-2242	meV/atom
~~~
The invoked miracle (“It’s like a miracle”) is the promise that “It will disappear.” Except there is a perhaps unintended double entendre embedded there. “It” is never directly invoked, other than in the early intertitles. The facets of the gem speak of Life and Death. Life is a miracle, and “it will disappear” is the accidental second meaning.
The fear of the simulation that we all have the displeasure and dishonor of inhabiting, locked in the haunted mirrors of our own deformed subjective conditions, whether of the precariat or the plutocracy, suggests no way out other than to buy into Elon Musk’s fantasy of fleeing Planet Earth.
There is a sense of gloom here. A sense of foreboding. An intimation of engendered mortality – a conspiracy of a collective monstrosity called State and Nation, Power and Privilege, I and Thou.
I and Thou? When did the divide between self and other become so monstrous?